**Assignment**
Start at the top of the listing further below and quote each line, ending with the one that has "(No. 1)".

**Input**
- - -
No. 1
The following is a simulated powder diffraction line list of VOF3. It was derived from the GGA+U geometry in Alexandria, using Cu Kα, 1.54184 Å.
Intensities are scaled so that the largest is 100.

Structural model:
a = 6.041 Å, b = 6.041 Å, c = 7.988 Å
α = 90.00°, β = 90.00°, γ = 90.00°
Space group P4_1 (No. 76)
Unique sites:
V 0.004 0.269 0.000 x4
O 0.030 0.771 0.708 x4
F 0.016 0.209 0.746 x4
F 0.213 0.549 0.450 x4
F 0.219 0.463 0.994 x4

Top 12 peaks for 2θ from 5° to 70°, low angle first:
(1 0 0), 2θ 14.66, d = 6.041 Å, I = 71; (1 0 1), 2θ 18.41, d = 4.818 Å, I = 99; (1 1 1), 2θ 23.62, d = 3.767 Å, I = 100; (1 0 2), 2θ 26.76, d = 3.332 Å, I = 48; (1 0 3), 2θ 36.89, d = 2.437 Å, I = 16; (2 2 0), 2θ 42.32, d = 2.136 Å, I = 59; (0 0 4), 2θ 45.41, d = 1.997 Å, I = 24; (1 2 3), 2θ 47.97, d = 1.896 Å, I = 13; (1 3 1), 2θ 49.03, d = 1.858 Å, I = 14; (2 3 1), 2θ 56.08, d = 1.640 Å, I = 13; (2 3 2), 2θ 59.86, d = 1.545 Å, I = 17; (2 2 4), 2θ 63.80, d = 1.459 Å, I = 22



No. 2
The following is a simulated powder diffraction line list of VOF3. It was derived from the GGA+U geometry in Alexandria, using Cu Kα, 1.54184 Å.
Intensities are scaled so that the largest is 100.

Structural model:
a = 5.421 Å, b = 5.574 Å, c = 5.443 Å
α = 90.00°, β = 115.93°, γ = 90.00°
Space group P2_1 (No. 4)
Unique sites:
V 0.221 0.000 0.212 x2
O 0.038 0.213 0.003 x2
F 0.061 0.947 0.429 x2
F 0.422 0.873 0.061 x2
F 0.500 0.165 0.463 x2

Top 12 peaks for 2θ from 5° to 70°, low angle first:
(1 0 -1), 2θ 19.28, d = 4.604 Å, I = 39; (0 1 1), 2θ 24.23, d = 3.674 Å, I = 100; (1 0 1), 2θ 31.04, d = 2.881 Å, I = 8; (1 2 -1), 2θ 37.73, d = 2.384 Å, I = 8; (2 0 -2), 2θ 39.13, d = 2.302 Å, I = 9; (1 2 1), 2θ 45.27, d = 2.003 Å, I = 19; (2 2 0), 2θ 49.69, d = 1.835 Å, I = 5; (2 1 1), 2θ 51.28, d = 1.782 Å, I = 7; (1 3 0), 2θ 52.71, d = 1.737 Å, I = 5; (2 1 -3), 2θ 54.79, d = 1.675 Å, I = 6; (3 1 -2), 2θ 54.93, d = 1.671 Å, I = 6; (3 0 -3), 2θ 60.33, d = 1.534 Å, I = 6



No. 3
The following is a simulated powder diffraction line list of V4O7F5. It was derived from the GGA+U geometry in Alexandria, using Cu Kα, 1.54184 Å.
Intensities are scaled so that the largest is 100.

Structural model:
a = 5.282 Å, b = 5.367 Å, c = 7.413 Å
α = 88.80°, β = 89.58°, γ = 88.82°
Space group P1 (No. 1)
Unique sites:
V 0.000 0.000 0.000 x1
V 0.057 0.979 0.496 x1
V 0.474 0.519 0.945 x1
V 0.553 0.473 0.445 x1
O 0.081 0.000 0.721 x1
O 0.229 0.709 0.006 x1
O 0.290 0.781 0.440 x1
O 0.442 0.505 0.723 x1
O 0.587 0.498 0.222 x1
O 0.741 0.231 0.503 x1
O 0.949 0.007 0.223 x1
F 0.239 0.284 0.436 x1
F 0.311 0.211 0.006 x1
F 0.716 0.788 0.933 x1
F 0.791 0.728 0.510 x1
F 0.796 0.297 0.933 x1

Top 12 peaks for 2θ from 5° to 70°, low angle first:
(1 1 0), 2θ 23.39, d = 3.803 Å, I = 100; (1 -1 0), 2θ 23.89, d = 3.726 Å, I = 97; (0 0 2), 2θ 24.01, d = 3.706 Å, I = 100; (0 2 0), 2θ 33.42, d = 2.681 Å, I = 20; (-1 1 2), 2θ 33.95, d = 2.640 Å, I = 16; (2 1 1), 2θ 39.50, d = 2.282 Å, I = 10; (2 2 0), 2θ 47.84, d = 1.901 Å, I = 26; (2 -2 0), 2θ 48.90, d = 1.863 Å, I = 18; (0 0 4), 2θ 49.17, d = 1.853 Å, I = 18; (1 3 0), 2θ 53.77, d = 1.705 Å, I = 21; (1 -3 0), 2θ 54.52, d = 1.683 Å, I = 13; (2 2 -2), 2θ 54.68, d = 1.679 Å, I = 14
- - -

**Response**
No. 1
The following is a simulated powder diffraction line list of VOF3. It was derived from the GGA+U geometry in Alexandria, using Cu Kα, 1.54184 Å.
Intensities are scaled so that the largest is 100.

Structural model:
a = 6.041 Å, b = 6.041 Å, c = 7.988 Å
α = 90.00°, β = 90.00°, γ = 90.00°
Space group P4_1 (No. 76)
Unique sites:
V 0.004 0.269 0.000 x4
O 0.030 0.771 0.708 x4
F 0.016 0.209 0.746 x4
F 0.213 0.549 0.450 x4
F 0.219 0.463 0.994 x4

Top 12 peaks for 2θ from 5° to 70°, low angle first:
(1 0 0), 2θ 14.66, d = 6.041 Å, I = 71; (1 0 1), 2θ 18.41, d = 4.818 Å, I = 99; (1 1 1), 2θ 23.62, d = 3.767 Å, I = 100; (1 0 2), 2θ 26.76, d = 3.332 Å, I = 48; (1 0 3), 2θ 36.89, d = 2.437 Å, I = 16; (2 2 0), 2θ 42.32, d = 2.136 Å, I = 59; (0 0 4), 2θ 45.41, d = 1.997 Å, I = 24; (1 2 3), 2θ 47.97, d = 1.896 Å, I = 13; (1 3 1), 2θ 49.03, d = 1.858 Å, I = 14; (2 3 1), 2θ 56.08, d = 1.640 Å, I = 13; (2 3 2), 2θ 59.86, d = 1.545 Å, I = 17; (2 2 4), 2θ 63.80, d = 1.459 Å, I = 22



No. 2
The following is a simulated powder diffraction line list of VOF3. It was derived from the GGA+U geometry in Alexandria, using Cu Kα, 1.54184 Å.
Intensities are scaled so that the largest is 100.

Structural model:
a = 5.421 Å, b = 5.574 Å, c = 5.443 Å
α = 90.00°, β = 115.93°, γ = 90.00°
Space group P2_1 (No. 4)
Unique sites:
V 0.221 0.000 0.212 x2
O 0.038 0.213 0.003 x2
F 0.061 0.947 0.429 x2
F 0.422 0.873 0.061 x2
F 0.500 0.165 0.463 x2

Top 12 peaks for 2θ from 5° to 70°, low angle first:
(1 0 -1), 2θ 19.28, d = 4.604 Å, I = 39; (0 1 1), 2θ 24.23, d = 3.674 Å, I = 100; (1 0 1), 2θ 31.04, d = 2.881 Å, I = 8; (1 2 -1), 2θ 37.73, d = 2.384 Å, I = 8; (2 0 -2), 2θ 39.13, d = 2.302 Å, I = 9; (1 2 1), 2θ 45.27, d = 2.003 Å, I = 19; (2 2 0), 2θ 49.69, d = 1.835 Å, I = 5; (2 1 1), 2θ 51.28, d = 1.782 Å, I = 7; (1 3 0), 2θ 52.71, d = 1.737 Å, I = 5; (2 1 -3), 2θ 54.79, d = 1.675 Å, I = 6; (3 1 -2), 2θ 54.93, d = 1.671 Å, I = 6; (3 0 -3), 2θ 60.33, d = 1.534 Å, I = 6



No. 3
The following is a simulated powder diffraction line list of V4O7F5. It was derived from the GGA+U geometry in Alexandria, using Cu Kα, 1.54184 Å.
Intensities are scaled so that the largest is 100.

Structural model:
a = 5.282 Å, b = 5.367 Å, c = 7.413 Å
α = 88.80°, β = 89.58°, γ = 88.82°
Space group P1 (No. 1)